File:
┌──
ORCA calculation (ωB97M-V with the def2-TZVPD basis set) on C7H10CeN2O2 as an isolated structure at a distorted geometry.

Positions of all 22 atoms, in Å:
C 0.145 0.988 -1.779
C -0.750 -0.145 -1.797
C 0.046 -1.329 -2.004
C 1.414 -0.947 -2.028
C 1.486 0.481 -1.885
Ce 0.518 0.101 0.542
N 1.909 1.876 0.990
C -1.294 0.868 1.536
C -1.984 -0.249 1.120
H -0.346 -2.325 -2.244
H -1.844 -0.095 -1.749
H 2.269 -1.611 -2.179
H 2.399 1.089 -1.897
H -0.142 2.044 -1.725
H -2.701 -0.252 0.297
H -0.638 0.848 2.503
H 1.470 2.606 1.601
H -2.463 -0.783 2.000
H -1.305 1.795 0.818
O 0.113 -1.903 3.590
N 0.372 -1.278 2.576
O 1.327 -1.779 1.716

## Properties
* calculated total energy: -27419.3559 eV
* HOMO (alpha / beta): -2.841 / -2.872 eV
* net charge: -1
* multiplicity: 2

The molecule's Mulliken atomic charges, reported in e, are given here: C -0.291; C -0.799; C -0.494; C -0.580; C -0.324; Ce 0.294; N -0.588; C -0.017; C -0.740; H 0.391; H 0.574; H 0.390; H 0.363; H 0.478; H 0.233; H 0.264; H 0.004; H 0.229; H 0.183; O -0.546; N 0.505; O -0.528


ORCA calculation (ωB97M-V with the def2-TZVPD basis set) on a 2-piece molecular cluster, C27H30N2O4S2 overall at a distorted geometry.

Positions of all 65 atoms, in Å:
O -1.226 -2.058 0.035
S -0.329 -2.608 -0.957
O -0.684 -3.787 -1.716
C 0.049 -1.283 -2.150
C -0.760 -0.186 -2.224
C -2.203 -0.235 -2.204
C -2.919 -1.446 -2.410
C -4.292 -1.500 -2.151
C -4.977 -0.351 -1.723
C -4.308 0.884 -1.671
C -2.945 0.945 -1.963
S 1.721 -1.257 -2.767
O 2.120 -2.647 -2.871
O 2.464 -0.328 -1.939
C 1.774 -0.627 -4.451
C 1.649 -1.525 -5.515
C 1.588 -1.041 -6.824
C 1.701 0.333 -7.071
C 1.917 1.217 -6.006
C 1.986 0.734 -4.695
C 1.212 -2.949 -0.074
C 1.760 -4.232 -0.067
C 2.930 -4.469 0.659
C 3.543 -3.432 1.368
C 2.970 -2.154 1.375
C 1.793 -1.919 0.666
H -0.294 0.790 -2.329
H -2.409 -2.336 -2.791
H -4.825 -2.453 -2.245
H -6.022 -0.415 -1.410
H -4.840 1.795 -1.381
H -2.408 1.898 -1.958
H 1.594 -2.594 -5.312
H 1.443 -1.744 -7.646
H 1.627 0.713 -8.093
H 2.027 2.288 -6.190
H 2.197 1.403 -3.862
H 1.282 -5.022 -0.645
H 3.364 -5.471 0.658
H 4.472 -3.613 1.915
H 3.434 -1.328 1.919
H 1.323 -0.937 0.686
C 0.153 0.757 2.719
C -0.055 1.700 3.722
N -0.757 1.414 4.871
C -1.210 0.068 5.097
C -1.517 2.421 5.573
C -0.824 3.769 5.560
C -0.273 4.103 4.188
N 0.429 2.985 3.607
C 1.224 3.313 2.454
H 0.666 1.048 1.809
H -0.273 -0.234 2.826
H -0.373 -0.628 4.997
H -1.616 -0.006 6.111
H -1.994 -0.233 4.389
H -2.525 2.522 5.126
H -1.658 2.068 6.601
H -1.541 4.542 5.854
H -0.010 3.770 6.294
H -1.100 4.423 3.526
H 0.437 4.936 4.247
H 2.091 2.648 2.398
H 0.656 3.211 1.521
H 1.570 4.347 2.544

## Properties
* SMILES: O=S(=O)(C(=Cc1ccccc1)S(=O)(=O)c1ccccc1)c1ccccc1.C=C1N(C)CCCN1C
* calculated total energy: -61322.8832 eV
* energy above the lowest of the compared OMol25 structures with the same formula, charge and spin: 0.750 eV
* HOMO: -7.124 eV

The molecule's Mulliken atomic charges, reported in e, are given here: O -0.589; S 1.516; O -0.686; C -0.444; C -0.394; C 0.832; C -0.106; C -0.650; C -0.428; C -0.489; C -0.655; S 1.744; O -0.690; O -0.679; C 0.061; C -0.468; C -0.573; C -0.324; C -0.657; C -0.176; C -0.047; C -0.396; C -0.564; C -0.425; C -0.734; C -0.171; H 0.427; H 0.388; H 0.380; H 0.371; H 0.364; H 0.349; H 0.418; H 0.368; H 0.367; H 0.367; H 0.411; H 0.448; H 0.368; H 0.373; H 0.413; H 0.348; C -1.329; C 0.803; N 0.194; C -1.221; C -0.620; C -0.704; C -0.609; N 0.216; C -1.212; H 0.046; H 0.309; H 0.399; H 0.291; H 0.393; H 0.311; H 0.369; H 0.338; H 0.307; H 0.308; H 0.379; H 0.384; H 0.385; H 0.296


ORCA calculation (ωB97M-V with the def2-TZVPD basis set) on C20H43IrN2OP3S as an isolated structure at a distorted geometry.

Positions of all 71 atoms, in Å:
Ir -0.790 0.221 -0.725
P 0.926 -0.562 0.657
P 1.388 2.472 -1.021
P -1.458 -1.946 -0.650
H -1.056 3.119 -3.150
C -1.009 2.068 -3.486
C -1.909 0.965 -3.150
H -1.828 0.605 -2.051
C 2.336 -1.081 -0.404
C 1.715 0.471 1.949
C 0.749 -2.014 1.794
C 0.997 3.950 -2.007
C 0.851 3.083 0.643
└──

What to do:
The reader should copy the data earlier on word for word.

Response:
ORCA calculation (ωB97M-V with the def2-TZVPD basis set) on C7H10CeN2O2 as an isolated structure at a distorted geometry.

Positions of all 22 atoms, in Å:
C 0.145 0.988 -1.779
C -0.750 -0.145 -1.797
C 0.046 -1.329 -2.004
C 1.414 -0.947 -2.028
C 1.486 0.481 -1.885
Ce 0.518 0.101 0.542
N 1.909 1.876 0.990
C -1.294 0.868 1.536
C -1.984 -0.249 1.120
H -0.346 -2.325 -2.244
H -1.844 -0.095 -1.749
H 2.269 -1.611 -2.179
H 2.399 1.089 -1.897
H -0.142 2.044 -1.725
H -2.701 -0.252 0.297
H -0.638 0.848 2.503
H 1.470 2.606 1.601
H -2.463 -0.783 2.000
H -1.305 1.795 0.818
O 0.113 -1.903 3.590
N 0.372 -1.278 2.576
O 1.327 -1.779 1.716

## Properties
* calculated total energy: -27419.3559 eV
* HOMO (alpha / beta): -2.841 / -2.872 eV
* net charge: -1
* multiplicity: 2

The molecule's Mulliken atomic charges, reported in e, are given here: C -0.291; C -0.799; C -0.494; C -0.580; C -0.324; Ce 0.294; N -0.588; C -0.017; C -0.740; H 0.391; H 0.574; H 0.390; H 0.363; H 0.478; H 0.233; H 0.264; H 0.004; H 0.229; H 0.183; O -0.546; N 0.505; O -0.528


ORCA calculation (ωB97M-V with the def2-TZVPD basis set) on a 2-piece molecular cluster, C27H30N2O4S2 overall at a distorted geometry.

Positions of all 65 atoms, in Å:
O -1.226 -2.058 0.035
S -0.329 -2.608 -0.957
O -0.684 -3.787 -1.716
C 0.049 -1.283 -2.150
C -0.760 -0.186 -2.224
C -2.203 -0.235 -2.204
C -2.919 -1.446 -2.410
C -4.292 -1.500 -2.151
C -4.977 -0.351 -1.723
C -4.308 0.884 -1.671
C -2.945 0.945 -1.963
S 1.721 -1.257 -2.767
O 2.120 -2.647 -2.871
O 2.464 -0.328 -1.939
C 1.774 -0.627 -4.451
C 1.649 -1.525 -5.515
C 1.588 -1.041 -6.824
C 1.701 0.333 -7.071
C 1.917 1.217 -6.006
C 1.986 0.734 -4.695
C 1.212 -2.949 -0.074
C 1.760 -4.232 -0.067
C 2.930 -4.469 0.659
C 3.543 -3.432 1.368
C 2.970 -2.154 1.375
C 1.793 -1.919 0.666
H -0.294 0.790 -2.329
H -2.409 -2.336 -2.791
H -4.825 -2.453 -2.245
H -6.022 -0.415 -1.410
H -4.840 1.795 -1.381
H -2.408 1.898 -1.958
H 1.594 -2.594 -5.312
H 1.443 -1.744 -7.646
H 1.627 0.713 -8.093
H 2.027 2.288 -6.190
H 2.197 1.403 -3.862
H 1.282 -5.022 -0.645
H 3.364 -5.471 0.658
H 4.472 -3.613 1.915
H 3.434 -1.328 1.919
H 1.323 -0.937 0.686
C 0.153 0.757 2.719
C -0.055 1.700 3.722
N -0.757 1.414 4.871
C -1.210 0.068 5.097
C -1.517 2.421 5.573
C -0.824 3.769 5.560
C -0.273 4.103 4.188
N 0.429 2.985 3.607
C 1.224 3.313 2.454
H 0.666 1.048 1.809
H -0.273 -0.234 2.826
H -0.373 -0.628 4.997
H -1.616 -0.006 6.111
H -1.994 -0.233 4.389
H -2.525 2.522 5.126
H -1.658 2.068 6.601
H -1.541 4.542 5.854
H -0.010 3.770 6.294
H -1.100 4.423 3.526
H 0.437 4.936 4.247
H 2.091 2.648 2.398
H 0.656 3.211 1.521
H 1.570 4.347 2.544

## Properties
* SMILES: O=S(=O)(C(=Cc1ccccc1)S(=O)(=O)c1ccccc1)c1ccccc1.C=C1N(C)CCCN1C
* calculated total energy: -61322.8832 eV
* energy above the lowest of the compared OMol25 structures with the same formula, charge and spin: 0.750 eV
* HOMO: -7.124 eV

The molecule's Mulliken atomic charges, reported in e, are given here: O -0.589; S 1.516; O -0.686; C -0.444; C -0.394; C 0.832; C -0.106; C -0.650; C -0.428; C -0.489; C -0.655; S 1.744; O -0.690; O -0.679; C 0.061; C -0.468; C -0.573; C -0.324; C -0.657; C -0.176; C -0.047; C -0.396; C -0.564; C -0.425; C -0.734; C -0.171; H 0.427; H 0.388; H 0.380; H 0.371; H 0.364; H 0.349; H 0.418; H 0.368; H 0.367; H 0.367; H 0.411; H 0.448; H 0.368; H 0.373; H 0.413; H 0.348; C -1.329; C 0.803; N 0.194; C -1.221; C -0.620; C -0.704; C -0.609; N 0.216; C -1.212; H 0.046; H 0.309; H 0.399; H 0.291; H 0.393; H 0.311; H 0.369; H 0.338; H 0.307; H 0.308; H 0.379; H 0.384; H 0.385; H 0.296


ORCA calculation (ωB97M-V with the def2-TZVPD basis set) on C20H43IrN2OP3S as an isolated structure at a distorted geometry.

Positions of all 71 atoms, in Å:
Ir -0.790 0.221 -0.725
P 0.926 -0.562 0.657
P 1.388 2.472 -1.021
P -1.458 -1.946 -0.650
H -1.056 3.119 -3.150
C -1.009 2.068 -3.486
C -1.909 0.965 -3.150
H -1.828 0.605 -2.051
C 2.336 -1.081 -0.404
C 1.715 0.471 1.949
C 0.749 -2.014 1.794
C 0.997 3.950 -2.007
C 0.851 3.083 0.643